Work order:
Start at the top of the notes further down and print each line, ending with the one that has "Nd37 Nd".
Data:
=====
Record 1
NdCdNi4 | GGA-PBE | optimized geometry

Structure (CIF):
```
data_NdCdNi4
_chemical_formula_sum 'Nd1 Cd1 Ni4'
_cell_length_a 5.0400
_cell_length_b 5.0400
_cell_length_c 5.0400
_cell_angle_alpha 60.00
_cell_angle_beta 60.00
_cell_angle_gamma 60.00
_space_group_name_H-M_alt 'P 1'
_space_group_IT_number 1
loop_
_space_group_symop_operation_xyz
'x,y,z'
loop_
_atom_site_label
_atom_site_type_symbol
_atom_site_fract_x
_atom_site_fract_y
_atom_site_fract_z
Nd1 Nd 0.0000 0.0000 0.0000
Cd1 Cd 0.7500 0.7500 0.7500
Ni1 Ni 0.3765 0.3765 0.3765
Ni2 Ni 0.3765 0.3765 0.8706
Ni3 Ni 0.3765 0.8706 0.3765
Ni4 Ni 0.8706 0.3765 0.3765
```

Summary:
Energy relative to the elements   -1.69 eV per formula unit
SG   F-43m

Record 2
Nd23Cd4Ni7 | GGA-PBE | optimized geometry

Structure (CIF):
```
data_Nd23Cd4Ni7
_chemical_formula_sum 'Nd46 Cd8 Ni14'
_cell_length_a 9.9434
_cell_length_b 9.9434
_cell_length_c 22.5278
_cell_angle_alpha 90.00
_cell_angle_beta 90.00
_cell_angle_gamma 120.00
_space_group_name_H-M_alt 'P 1'
_space_group_IT_number 1
loop_
_space_group_symop_operation_xyz
'x,y,z'
loop_
_atom_site_label
_atom_site_type_symbol
_atom_site_fract_x
_atom_site_fract_y
_atom_site_fract_z
Nd1 Nd 0.0000 0.0000 0.0522
Nd2 Nd 0.0000 0.0000 0.5522
Nd3 Nd 0.0792 0.5396 0.1384
Nd4 Nd 0.0850 0.5425 0.4087
Nd5 Nd 0.1272 0.2544 0.6866
Nd6 Nd 0.1272 0.8728 0.6866
Nd7 Nd 0.2035 0.4069 0.8351
Nd8 Nd 0.2035 0.7965 0.8351
Nd9 Nd 0.2067 0.4133 0.2724
Nd10 Nd 0.2071 0.4142 0.0000
Nd11 Nd 0.2071 0.7929 0.0000
Nd12 Nd 0.2067 0.7933 0.2724
Nd13 Nd 0.2108 0.4216 0.5432
Nd14 Nd 0.2108 0.7892 0.5432
Nd15 Nd 0.2544 0.1272 0.1866
Nd16 Nd 0.3333 0.6667 0.6982
Nd17 Nd 0.4069 0.2035 0.3351
Nd18 Nd 0.4133 0.2067 0.7724
Nd19 Nd 0.4142 0.2071 0.5000
Nd20 Nd 0.4216 0.2108 0.0432
Nd21 Nd 0.4575 0.5425 0.4087
Nd22 Nd 0.4575 0.9150 0.4087
Nd23 Nd 0.4604 0.5396 0.1384
Nd24 Nd 0.4604 0.9208 0.1384
Nd25 Nd 0.5396 0.0792 0.6384
Nd26 Nd 0.5396 0.4604 0.6384
Nd27 Nd 0.5425 0.0850 0.9087
Nd28 Nd 0.5425 0.4575 0.9087
Nd29 Nd 0.5784 0.7892 0.5432
Nd30 Nd 0.5858 0.7929 0.0000
Nd31 Nd 0.5867 0.7933 0.2724
Nd32 Nd 0.5931 0.7965 0.8351
Nd33 Nd 0.6667 0.3333 0.1982
Nd34 Nd 0.7456 0.8728 0.6866
Nd35 Nd 0.7892 0.2108 0.0432
Nd36 Nd 0.7892 0.5784 0.0432
Nd37 Nd 0.7929 0.2071 0.5000
Nd38 Nd 0.7933 0.2067 0.7724
Nd39 Nd 0.7929 0.5858 0.5000
Nd40 Nd 0.7933 0.5867 0.7724
Nd41 Nd 0.7965 0.2035 0.3351
Nd42 Nd 0.7965 0.5931 0.3351
Nd43 Nd 0.8728 0.1272 0.1866
Nd44 Nd 0.8728 0.7456 0.1866
Nd45 Nd 0.9150 0.4575 0.9087
Nd46 Nd 0.9208 0.4604 0.6384
Cd1 Cd 0.0000 0.0000 0.3019
Cd2 Cd 0.0000 0.0000 0.8019
Cd3 Cd 0.1067 0.2134 0.4159
Cd4 Cd 0.1067 0.8933 0.4159
Cd5 Cd 0.2134 0.1067 0.9159
Cd6 Cd 0.7866 0.8933 0.4159
Cd7 Cd 0.8933 0.1067 0.9159
Cd8 Cd 0.8933 0.7866 0.9159
Ni1 Ni 0.0426 0.5213 0.7632
Ni2 Ni 0.1428 0.2855 0.1172
Ni3 Ni 0.1428 0.8572 0.1172
Ni4 Ni 0.2855 0.1428 0.6172
Ni5 Ni 0.3333 0.6667 0.9160
Ni6 Ni 0.4787 0.5213 0.7632
Ni7 Ni 0.4787 0.9574 0.7632
Ni8 Ni 0.5213 0.0426 0.2632
Ni9 Ni 0.5213 0.4787 0.2632
Ni10 Ni 0.6667 0.3333 0.4160
Ni11 Ni 0.7145 0.8572 0.1172
Ni12 Ni 0.8572 0.1428 0.6172
Ni13 Ni 0.8572 0.7145 0.6172
Ni14 Ni 0.9574 0.4787 0.2632
```

Summary:
Energy relative to the elements   -7.90 eV per formula unit
SG   P6_3mc

Calculated values (g/cm3) of density for the records, taken in order: 9.014; 7.193.


Sm2Ga3Cu (meta-GGA r2SCAN, optimized geometry); ΔH_f (0 K) = -0.660 eV per atom; space-group type = No. 25; mass density = 7.66 g cm⁻³; volume = 20.72 Å³ per atom
1.0
-2.770 -2.081 1.514
-0.651 -1.933 -3.848
5.013 -5.339 1.834
Ga Sm Cu
3 2 1
Cartesian
1.587 -5.519 0.039 Ga
2.806 -5.504 2.290 Ga
-0.508 -1.974 1.078 Ga
-0.307 -0.986 -1.917 Sm
2.492 -2.654 0.911 Sm
-0.052 -3.773 -0.560 Cu


Crystalline TlFeBr3 at its relaxed geometry, computed with PBE.

Output
As for the energy above the most stable polymorph in this dataset: 0 meV per atom. The calculation puts the formation enthalpy at 0 K at -923 meV/atom. The calculation puts the MP2020-corrected energy at -4.07 eV per atom.
=====
Solution:
Record 1
NdCdNi4 | GGA-PBE | optimized geometry

Structure (CIF):
```
data_NdCdNi4
_chemical_formula_sum 'Nd1 Cd1 Ni4'
_cell_length_a 5.0400
_cell_length_b 5.0400
_cell_length_c 5.0400
_cell_angle_alpha 60.00
_cell_angle_beta 60.00
_cell_angle_gamma 60.00
_space_group_name_H-M_alt 'P 1'
_space_group_IT_number 1
loop_
_space_group_symop_operation_xyz
'x,y,z'
loop_
_atom_site_label
_atom_site_type_symbol
_atom_site_fract_x
_atom_site_fract_y
_atom_site_fract_z
Nd1 Nd 0.0000 0.0000 0.0000
Cd1 Cd 0.7500 0.7500 0.7500
Ni1 Ni 0.3765 0.3765 0.3765
Ni2 Ni 0.3765 0.3765 0.8706
Ni3 Ni 0.3765 0.8706 0.3765
Ni4 Ni 0.8706 0.3765 0.3765
```

Summary:
Energy relative to the elements   -1.69 eV per formula unit
SG   F-43m

Record 2
Nd23Cd4Ni7 | GGA-PBE | optimized geometry

Structure (CIF):
```
data_Nd23Cd4Ni7
_chemical_formula_sum 'Nd46 Cd8 Ni14'
_cell_length_a 9.9434
_cell_length_b 9.9434
_cell_length_c 22.5278
_cell_angle_alpha 90.00
_cell_angle_beta 90.00
_cell_angle_gamma 120.00
_space_group_name_H-M_alt 'P 1'
_space_group_IT_number 1
loop_
_space_group_symop_operation_xyz
'x,y,z'
loop_
_atom_site_label
_atom_site_type_symbol
_atom_site_fract_x
_atom_site_fract_y
_atom_site_fract_z
Nd1 Nd 0.0000 0.0000 0.0522
Nd2 Nd 0.0000 0.0000 0.5522
Nd3 Nd 0.0792 0.5396 0.1384
Nd4 Nd 0.0850 0.5425 0.4087
Nd5 Nd 0.1272 0.2544 0.6866
Nd6 Nd 0.1272 0.8728 0.6866
Nd7 Nd 0.2035 0.4069 0.8351
Nd8 Nd 0.2035 0.7965 0.8351
Nd9 Nd 0.2067 0.4133 0.2724
Nd10 Nd 0.2071 0.4142 0.0000
Nd11 Nd 0.2071 0.7929 0.0000
Nd12 Nd 0.2067 0.7933 0.2724
Nd13 Nd 0.2108 0.4216 0.5432
Nd14 Nd 0.2108 0.7892 0.5432
Nd15 Nd 0.2544 0.1272 0.1866
Nd16 Nd 0.3333 0.6667 0.6982
Nd17 Nd 0.4069 0.2035 0.3351
Nd18 Nd 0.4133 0.2067 0.7724
Nd19 Nd 0.4142 0.2071 0.5000
Nd20 Nd 0.4216 0.2108 0.0432
Nd21 Nd 0.4575 0.5425 0.4087
Nd22 Nd 0.4575 0.9150 0.4087
Nd23 Nd 0.4604 0.5396 0.1384
Nd24 Nd 0.4604 0.9208 0.1384
Nd25 Nd 0.5396 0.0792 0.6384
Nd26 Nd 0.5396 0.4604 0.6384
Nd27 Nd 0.5425 0.0850 0.9087
Nd28 Nd 0.5425 0.4575 0.9087
Nd29 Nd 0.5784 0.7892 0.5432
Nd30 Nd 0.5858 0.7929 0.0000
Nd31 Nd 0.5867 0.7933 0.2724
Nd32 Nd 0.5931 0.7965 0.8351
Nd33 Nd 0.6667 0.3333 0.1982
Nd34 Nd 0.7456 0.8728 0.6866
Nd35 Nd 0.7892 0.2108 0.0432
Nd36 Nd 0.7892 0.5784 0.0432
Nd37 Nd 0.7929 0.2071 0.5000